The H Mart on South Tacoma Way in Lakewood. (Credit: Google Maps)

This is the second of three vignettes depicting possible conversations between imaginary people in Tacoma as the city grapples with growth, densification, and other forms of change. 

[Misplaced calculated crystals]
+++
# CoTcB | Alexandria | PBE | relaxed
# - space group = No. 11
# - density of states at the Fermi level (states/eV/cell) = 6.24
# - DFT total energy (eV per atom) = -8.203
# - offset from the most stable computed form (eV/atom) = 0.099
# - volume (Å³ per atom) = 10.19
data_CoTcB
_chemical_formula_sum 'Co2 Tc2 B2'
_cell_length_a 4.0744
_cell_length_b 3.4332
_cell_length_c 4.5441
_cell_angle_alpha 90.00
_cell_angle_beta 105.78
_cell_angle_gamma 90.00
_symmetry_space_group_name_H-M 'P 1'
_symmetry_Int_Tables_number 1
_symmetry_space_group_name_Hall 'P 1'
loop_
_atom_site_label
_atom_site_fract_x
_atom_site_fract_y
_atom_site_fract_z
Co1 0.0369 0.2500 0.1859
Co2 0.9631 0.7500 0.8141
Tc1 0.4449 0.2500 0.7669
Tc2 0.5551 0.7500 0.2331
B1 0.1307 0.7500 0.4406
B2 0.8693 0.2500 0.5594



# CoTc2B | Alexandria | PBE | relaxed
# - space group = No. 69
# - density of states at the Fermi level (states/eV/cell) = 7.15
# - DFT total energy (eV per atom) = -8.547
# - volume (Å³ per atom) = 11.45
data_CoTc2B
_chemical_formula_sum 'Co2 Tc4 B2'
_cell_length_a 5.2172
_cell_length_b 5.1218
_cell_length_c 4.8816
_cell_angle_alpha 62.82
_cell_angle_beta 60.84
_cell_angle_gamma 56.34
_symmetry_space_group_name_H-M 'P 1'
_symmetry_Int_Tables_number 1
_symmetry_space_group_name_Hall 'P 1'
loop_
_atom_site_label
_atom_site_fract_x
_atom_site_fract_y
_atom_site_fract_z
Co1 0.1750 0.8250 0.1750
Co2 0.8250 0.1750 0.8250
Tc1 0.2500 0.2500 0.2500
Tc2 0.3243 0.6757 0.6757
Tc3 0.6757 0.3243 0.3243
Tc4 0.7500 0.7500 0.7500
B1 0.2243 0.2243 0.7757
B2 0.7757 0.7757 0.2243



# CoTcB | Alexandria | PBE | relaxed
# - space group = No. 51
# - density of states at the Fermi level (states/eV/cell) = 17.80
# - DFT total energy (eV per atom) = -8.303
# - offset from the most stable computed form (eV/atom) = 0.000
# - volume (Å³ per atom) = 10.01
data_CoTcB
_chemical_formula_sum 'Co6 Tc6 B6'
_cell_length_a 9.5891
_cell_length_b 3.3929
_cell_length_c 5.5403
_cell_angle_alpha 90.00
_cell_angle_beta 90.00
_cell_angle_gamma 90.00
_symmetry_space_group_name_H-M 'P 1'
_symmetry_Int_Tables_number 1
_symmetry_space_group_name_Hall 'P 1'
loop_
_atom_site_label
_atom_site_fract_x
_atom_site_fract_y
_atom_site_fract_z
Co1 0.1202 0.0000 0.0673
Co2 0.2500 0.0000 0.7008
Co3 0.3798 0.0000 0.0673
Co4 0.6202 0.0000 0.9327
Co5 0.7500 0.0000 0.2992
Co6 0.8798 0.0000 0.9327
Tc1 0.0435 0.5000 0.7321
Tc2 0.2500 0.5000 0.3601
Tc3 0.4565 0.5000 0.7321
Tc4 0.5435 0.5000 0.2679
Tc5 0.7500 0.5000 0.6399
Tc6 0.9565 0.5000 0.2679
B1 0.0901 0.0000 0.4465
B2 0.2500 0.5000 0.9513
B3 0.4099 0.0000 0.4465
B4 0.5901 0.0000 0.5535
B5 0.7500 0.5000 0.0487
B6 0.9099 0.0000 0.5535



# CoTcB3 | Alexandria | PBE | relaxed
# - space group = No. 221
# - density of states at the Fermi level (states/eV/cell) = 5.61
# - DFT total energy (eV per atom) = -6.180
# - offset from the most stable computed form (eV/atom) = 0.392
# - volume (Å³ per atom) = 12.93
data_CoTcB3
_chemical_formula_sum 'Co1 Tc1 B3'
_cell_length_a 4.0132
+++

A common topic across all of these stories will be Home in Tacoma, an ambitious plan to overhaul Tacoma’s zoning laws to allow denser and more affordable housing to be built in our neighborhoods. In previous coverage, while we have lauded the plan, we have pointed out deficiencies in equity for both residents and workers. Recently, the City of Tacoma completed the full “Scope of Work” for Home in Tacoma and will soon begin implementing the plan into city policies.

To support and enhance the narratives, we’ve included maps derived from real data. Through these characters, readers are invited to listen in as people in their community deliberate and make determinations within a shifting urban landscape.

From The Guardian:

America’s sustainable food movement has been steadily growing, challenging consumers to truly consider where our food comes from, and inspiring people to farm, eat local, and rethink our approaches to food policy. But at the same time, the movement is predominantly white, and often neglects the needs and root problems of diverse communities. 

Food Apartheid: the root of the problem with America’s groceries, The Guardian, 2018

Linda looks up from weeding to see Molly taking bags of groceries from a delivery driver parked in the middle of the street. She smiles and waves at Molly, who manages a smile but not the wave, her hands full. 

Minutes later, Molly comes over to Linda and compliments her on the garden.

“It’s a work in progress, but it’s coming along. How are things?”

“Not too bad, actually,” says Molly. “In fact, probably, overall, good.” 

“How are you finding the neighborhood now that you’ve been here a few weeks?”

“I’m liking it.” Though I’ve blown my budget on carsharing and grocery delivery already this month.

“I think the number 11 bus, which stops four or so blocks to the north of here, takes you to Proctor,” says Linda. 

“Yeah, actually,” responds Molly. “I’ve managed two grocery runs on the 11 so far. I just can’t always plan well-enough in advance to make it possible all the time. It’s not that convenient when the bus comes by every 30 minutes.” 

(Credit: Kevin Le)

“So no car for you yet, then.” 

“Not yet. “Though I do have to figure out what to do for my mom’s visit. She’s coming out in two weeks and has all these plans to make me my favorite foods from growing up, but the nearest grocery stores that carry the ingredients we need are in South Tacoma. I couldn’t find any direct bus routes to any of those stores.” 

(Credit: Kevin Le)

“Well, it’s nice your mom is visiting. And lucky you, getting all those home-made meals. Are the ingredients your mom needs that unique? You couldn’t get them at Met Market? They’re pretty well-stocked. They always have what I need when I make an Asian or Mexican dish.” 

Molly tried to hide a grimace.

“Well, yes and no. There’s special peppers and spices we need, and you usually can’t get those even at the fancy stores. They’re often imported from my mom’s country. And I did see that Met Market had a couple of substitutes that would work in some of my mom’s recipes, but they sell them for 2 or 3 times what we could get at the Korean store. What you get at fancy stores is often lower quality, and you end up paying more for a smaller amount of it. My mom would never let me pay that much for those ingredients. I doubt she’d even feel comfortable going into a store like Met Market. It’s a different world to her.”

“Are international stores really that much cheaper than your typical grocery store? I’ve heard people say that, but I’ve never been.” 

“Much cheaper than the fancy stores, yes, and often cheaper than Safeway or the other chains. But they have so many other things going for them — hot food sellers, bakeries, and for someone like my mom, who doesn’t speak much English, it’s just a more familiar experience, I think.” 

“Ha. So you’ve heard that one, too. Yup, that, and then there’s just always someone to talk to for my mom at the Korean store. She’s always running into someone she knows when we go grocery shopping back home.” 

“You mean to say that your culture, and all Hispanic cultures, aren’t just limited to one aisle at the grocery store?” asks Linda, sarcastically. 

(Credit: Natalie Bicknell Argerious)
(Credit: Natalie Bicknell Argerious)

Molly doesn’t say it out loud to Linda, but thinking about her mom’s experience at the Korean grocery store brings back the sights, sounds, and smells of shopping there as well. It’s familiar and comforting for her too, and she realizes then that she will have to take her mom to the local international market when she’s in town.

“That’s interesting. I guess I always think of the grocery store as an in-and-out experience. The fewer people I talk to, the better.”

“I get that. Sometimes all I want is convenience too.”

“You know, the hospital has started looking into how it can better support efforts to bring good, quality, healthy food to parts of the city that lack grocery stores. Everyone needs good food, especially as we work with populations on prevention and in their recoveries.” 

“In nursing school we talked a lot about the correlation between food access and overall health and well-being. What I remember thinking then is that a lot of people think about this as only an issue of access, which is important, but there’s more to it. You can’t just plop a grocery store in the middle of the neighborhood and assume that it’s going to provide the foods people want at prices they can afford.”

“And how you are talking about your mom’s experience, it also sounds like we have to think about the ways grocery stores connect people—to each other, but to their cultures, too.”

“So, it’s access, yes, and affordability, but also…hmm. I’m not sure what I’m getting at here…but it’s also…”

“It’s also about ensuring people have access to the types of foods and ingredients that they need and want, and to make sure that the options to get these aren’t segregated to other parts of the city where people may not have easy access to.”

(Credit: Kevin Le)

“Yeah, I think that’s right. Especially for people like my mom, affordability really matters. But so do other factors, like finding ingredients that sustain you in more ways than one. My mom would probably drive out of her way to go to a store where prices are affordable and where she can find connection to her culture and people. It feeds the soul, you know? Kinda like a community gathering spot. But I bet she would appreciate it more if those ingredients didn’t require her to go to a totally different part of town.

“Sadly, I don’t think lots of national grocery stores are set up for that.”

“Yeah, it doesn’t seem like it.” 

“I’m thinking we need to keep this in mind if the hospital ends up enacting some program or programs related to food access. I’m going to find out who is leading this initiative and see who there is to talk to about it. Getting people food should be inclusive and equitable. It’s not just a matter of, as you said, plopping down a grocery store in the middle of a neighborhood.”

“If you do, I’d love to take part, in whatever way I can. I’d be happy to share my experiences and difficulties in getting the foods I need.”

“That’d be great. I’ll keep you posted.”

“Thanks. Anyway, I have to get going. I just wanted to stop by to say hello and to compliment your handy work with these plants. Maybe I could get you to grow some stuff for my mom.”

“Yeah maybe, I appreciate it. Until next time.”

Article Author
Kevin Le

Kevin Le is a Geographic Information Science (GIS) professional in Tacoma. He enjoys studying spatial data to better understand our urban landscapes and redesign cities to better serve all people.

Article Author
Rubén Casas

Rubén joined The Urbanist's board in 2022. He is a scholar and teacher of rhetoric and writing at the University of Washington Tacoma. He is also the faculty lead of the Urban Environmental Justice Initiative at Urban@UW. In his work and advocacy, Rubén examines how cities and the institutions that comprise them imagine, plan, and build in ways that promote and/or discourage community and a sense of place.